Episode 1 of Tokyo Vice starts with two men preparing for a meeting. One Japanese, and the other a foreigner. Not just any meeting, but one where their lives are in danger. They wear vests and are instructed by another man to sit at a certain place and only eat the food brought by one of the waiters. When they’re seated, the hostess informs them that the other party has already arrived. They have also changed the location of the meeting to a private lounge. The other party is revealed to be the Yakuza, Japan’s serial crime syndicate. One of the members warns the foreigner, a reporter, of dire consequences if he continues with his investigation. His probe into the dealings of Yakuza’s Tomazawa-san has upset the organization. The offer is to drop the probe and get to live. The foreigner ponders over the offer while having a cigarette. The timeline jumps back to two years. The year now is 1999 and Jake is an aspiring journalist. His daily routine involves a lot of preparation for the entrance test to get a job at Japan’s largest newspaper, Meicho Shimbun. Jake suffers heartbreak when he finishes the test before time, to his surprise, only to discover that he did not attempt the questions on the last page. Despite the setback, he receives an interview call from the paper and he is hired. He is assigned the police press as his first department. The format of reporting does not include space for adding reasons to why the crime happened to his annoyance. His sub-cap is Emi Muroyama, who strictly prohibits the newbies from veering off the set format. The first assignment for Jake is to report on the murder of Mr. Aoki. At the police briefing, he discovers Detective Miyamoto, who is a dynamic official and possibly of importance for the series. He visits Aoki’s house and goes through his mail. He finds that Aoki was in debt and visits the company –  the debtor – premises. He finds the lot vacated and senses something fishy. He mentions this in his report, only to be vehemently warned and scolded by his superior. He is told to follow the police report, word by word, and not jump to conclusions of his own accord. After work, he goes to Miyamoto and makes a deal: he will show him the ropes for journalists, and Jake will teach him how to pick up gaijin girls. The two stop at a nightclub where Jake meets the hostess, Samantha, a fellow American migrant. They share a conversation about Jake’s work, among other things. Miyamoto then takes Jake to a strip club, where he says to him about reporting, “There is no murder in Japan unless there is a witness”. Miyamoto is called into an emergency. The two go to Kabukicho to a man about to self immolate. After he does and burns to his death, Jake notices the same logo he did on Aoki’s debt papers on a packet near the body. Muroyama turns him down when he mentions the connection. Jake instead bribes a policeman and secures the home address of the burning man. His wife narrates how the Yakuza charged exceedingly high interests on a small amount. They forced the man into shame and to set himself on fire. After his death, they mysteriously stopped calling for the money. The episode ends with an induction ceremony of a member of the Ishida Clan and Jake sees the vision of the man setting himself on fire, pleading with him to get justice.
-- Attached: materials data --
____________
Below is crystalline LiSc2P at its relaxed geometry, with properties calculated at the PBE-GGA level.

Its formation energy is -527 meV/atom. The uncorrected energy is -5.52 eV per atom. Its density is 2950 kg/m³.

Unit cell a=3.530 b=4.141 c=9.844 alpha=90.00 beta=90.00 gamma=90.00
Space group Imm2 (No. 44)
Inequivalent atoms, fractional coordinates:
Li 0.000 0.000 0.000
Sc 0.000 0.000 0.431
Sc 0.000 0.500 0.203
P 0.000 0.500 0.684


Below is crystalline Co2CuRuN at its relaxed geometry, with properties calculated at the PBE-GGA level.

As for the uncorrected formation energy: 0.8 eV per formula unit. The uncorrected energy is -7.03 eV per atom. Its density is 8789 kg/m³.

Unit cell a=3.769 b=3.769 c=3.943 alpha=90.00 beta=90.00 gamma=90.00
Space group P4/mmm (No. 123)
Inequivalent atoms, fractional coordinates:
Co 0.000 0.500 0.000
Cu 0.000 0.000 0.500
Ru 0.500 0.500 0.500
N 0.500 0.500 0.000


Below is crystalline NaThAg2 at its relaxed geometry, with properties calculated at the PBE-GGA level.

Its formation energy is 13 meV/atom. The uncorrected energy is -3.60 eV per atom. The energy above the lowest structure with this stoichiometry comes out at 0.000 eV per atom. Its density is 7968 kg/m³.

Unit cell a=3.474 b=3.474 c=8.131 alpha=90.00 beta=90.00 gamma=90.00
Space group P4/mmm (No. 123)
Inequivalent atoms, fractional coordinates:
Na 0.000 0.000 0.000
Th 0.000 0.000 0.500
Ag 0.500 0.500 0.242


Below is crystalline CeTaTe at its relaxed geometry, with properties calculated at the PBE-GGA level.

As for the uncorrected formation energy: -1.0 eV per formula unit. The uncorrected energy is -7.30 eV per atom. Its density is 9943 kg/m³.

Unit cell a=11.522 b=3.676 c=7.716 alpha=90.00 beta=113.49 gamma=90.00
Space group C2/m (No. 12)
Inequivalent atoms, fractional coordinates:
Ce 0.049 0.000 0.279
Ta 0.176 0.500 0.054
Te 0.167 0.500 0.669


Below is crystalline LiTbHo2 at its relaxed geometry, with properties calculated at the PBE-GGA level.

Its formation energy is 99 meV/atom. The uncorrected energy is -3.83 eV per atom. The energy above the lowest structure with this stoichiometry comes out at 0.028 eV per atom. Its density is 6975 kg/m³.

Unit cell a=3.4984 b=3.4984 c=33.4102 alpha=90.00 beta=90.00 gamma=120.00
Space group R3m (No. 160, hexagonal axes)
Inequivalent atoms, fractional coordinates:
Li 0.0000 0.0000 0.0000
Tb 0.0000 0.0000 0.8334
Ho 0.0000 0.0000 0.4149
Ho 0.0000 0.0000 0.5852


Below is crystalline Ga6RhAu at its relaxed geometry, with properties calculated at the PBE-GGA level.

Its formation energy is -199 meV/atom. The uncorrected energy is -3.80 eV per atom. Its density is 8048 kg/m³.

Unit cell a=4.775 b=4.803 c=7.333 alpha=99.71 beta=98.13 gamma=113.28
Space group P-1 (No. 2)
Inequivalent atoms, fractional coordinates:
Ga 0.090 0.213 0.173
Ga 0.298 0.444 0.818
Ga 0.378 0.846 0.315
Rh 0.500 0.000 0.000
Au 0.000 0.000 0.500
____________

Someone pasted records of crystals at this point >
/*
# CdCu3Si (PBE-GGA, relaxed)
data_CdCu3Si
_symmetry_space_group_name_H-M 'P m -3 m'
_symmetry_Int_Tables_number 221
_symmetry_space_group_name_Hall '-P 4 2 3'
_cell_length_a 4.743
_cell_length_b 4.743
_cell_length_c 4.743
_cell_angle_alpha 90.00
_cell_angle_beta 90.00
_cell_angle_gamma 90.00
loop_
_atom_site_label
_atom_site_fract_x
_atom_site_fract_y
_atom_site_fract_z
Cd1 0.000 0.000 0.000
Cu1 0.000 0.000 0.500
Si1 0.500 0.500 0.500
# calculated total energy: -2.5460 eV per atom
# size of the total moment: 0.00 μB per cell
# distance to the lowest polymorph of the same formula: 847.9 meV per atom

# CdCuSi2Te6 (PBE-GGA, relaxed)
data_CdCuSi2Te6
_symmetry_space_group_name_H-M 'C 1 2/c 1'
_symmetry_Int_Tables_number 15
_symmetry_space_group_name_Hall '-C 2yc'
_cell_length_a 14.301
_cell_length_b 14.459
_cell_length_c 6.887
_cell_angle_alpha 90.00
_cell_angle_beta 114.04
_cell_angle_gamma 90.00
loop_
_atom_site_label
_atom_site_fract_x
_atom_site_fract_y
_atom_site_fract_z
Cd1 0.000 0.197 0.250
Cu1 0.000 0.210 0.750
Si1 0.206 0.420 0.245
Te1 0.099 0.077 0.629
Te2 0.131 0.436 0.523
Te3 0.149 0.256 0.103
# calculated total energy: -3.4970 eV per atom
# size of the total moment: 0.00 μB per cell

* * * * *

1.
# NaPmSO6

A geometry-optimized NaPmSO6 structure (PBE, Alexandria via LeMat-Bulk).

The space group is P312 (No. 149) and the conventional cell measures 5.2804, 5.2804 and 4.6814 Å, with angles of 90.00, 90.00 and 120.00 degrees. The inequivalent atoms are Na at (0.0000, 0.0000, 0.0000), Pm at (0.6667, 0.3333, 0.5000), S at (0.3333, 0.6667, 0.0000) and O at (0.0673, 0.4206, 0.2029).

The value obtained for the raw formation energy is -1452 meV/atom.

***

2.
# PmZrH

A geometry-optimized PmZrH structure (PBE, Alexandria via LeMat-Bulk).

The space group is P3m1 (No. 156) and the conventional cell measures 3.4159, 3.4159 and 5.6119 Å, with angles of 90.00, 90.00 and 120.00 degrees. The inequivalent atoms are Pm at (0.0000, 0.0000, 0.0000), Zr at (0.6667, 0.3333, 0.4901) and H at (0.3333, 0.6667, 0.6839).

Its relative energy among the computed polymorphs is 0.082 eV per atom.

***

3.
# B5C3

A geometry-optimized B5C3 structure (PBE, Alexandria via LeMat-Bulk).

The space group is R3m (No. 160, hexagonal axes) and the conventional cell measures 2.6875, 2.6875 and 31.9782 Å, with angles of 90.00, 90.00 and 120.00 degrees. The inequivalent atoms are B at (0.0000, 0.0000, 0.0000), B at (0.0000, 0.0000, 0.0530), B at (0.0000, 0.0000, 0.3005), B at (0.0000, 0.0000, 0.4624), B at (0.0000, 0.0000, 0.5808), C at (0.0000, 0.0000, 0.2511), C at (0.0000, 0.0000, 0.7413) and C at (0.0000, 0.0000, 0.7898).

Its relative energy among the computed polymorphs is 0.125 eV per atom. The value obtained for the formation energy from the elements is 0.395 eV per atom.

***

4.
# TlCrFe2

A geometry-optimized TlCrFe2 structure (PBE, Alexandria via LeMat-Bulk).
*/
The Episode Review
[Misplaced calculated crystals]
- - -
Record 1
# ScAl2Pt

A relaxed ScAl2Pt crystal (PBE, Alexandria).

Computed properties:
The value obtained for the density of states at the Fermi level is 2.37 states/eV per cell. As for the calculated formation energy: -273.7 kJ/mol of formula units. Its total DFT energy (no corrections) is -5.67 eV per atom.

a b c (Å): 3.2316 4.3949 5.0826
angles (deg): 90.00 96.76 90.00
Space group P2/m (No. 10)
One atom of each set of equivalent atoms:
Sc: 0.0000 0.0000 0.0000 x1
Al: 0.4121 0.5000 0.7448 x2
Pt: 0.5000 0.0000 0.5000 x1

***

Record 2
# Sc4Al12Pt

A relaxed Sc4Al12Pt crystal (PBE, Alexandria).

Computed properties:
The value obtained for the density of states at the Fermi level is 4.55 states/eV per cell. As for the calculated formation energy: -876.1 kJ/mol of formula units. Its total DFT energy (no corrections) is -5.02 eV per atom.

a b c (Å): 8.4239 8.4239 8.4239
angles (deg): 90.00 90.00 90.00
Space group Im-3m (No. 229)
One atom of each set of equivalent atoms:
Sc: 0.2500 0.2500 0.2500 x8
Al: 0.0000 0.0000 0.2926 x12
Al: 0.0000 0.2500 0.5000 x12
Pt: 0.0000 0.0000 0.0000 x2

***

Record 3
# ScAlPt2

A relaxed ScAlPt2 crystal (PBE, Alexandria).

Computed properties:
The value obtained for the density of states at the Fermi level is 9.24 states/eV per cell. As for the calculated formation energy: -428.8 kJ/mol of formula units. Its total DFT energy (no corrections) is -6.65 eV per atom.

a b c (Å): 6.7110 7.1246 5.7053
angles (deg): 90.00 90.00 90.00
Space group Pnma (No. 62)
One atom of each set of equivalent atoms:
Sc: 0.0225 0.2500 0.1667 x4
Al: 0.1042 0.7500 0.3465 x4
Pt: 0.2051 0.0478 0.5642 x8

***

Record 4
# ScAl2Pt

A relaxed ScAl2Pt crystal (PBE, Alexandria).

Computed properties:
The value obtained for the density of states at the Fermi level is 11.09 states/eV per cell. As for the calculated formation energy: -165.4 kJ/mol of formula units. Its total DFT energy (no corrections) is -5.39 eV per atom.

a b c (Å): 3.1137 3.1137 25.9460
angles (deg): 90.00 90.00 120.00
Space group R-3m (No. 166, hexagonal axes)
One atom of each set of equivalent atoms:
Sc: 0.0000 0.0000 0.0000 x3
Al: 0.0000 0.0000 0.2401 x6
Pt: 0.0000 0.0000 0.5000 x3

***

Record 5
# ScAl2Pt2

A relaxed ScAl2Pt2 crystal (PBE, Alexandria).

Computed properties:
The value obtained for the density of states at the Fermi level is 3.98 states/eV per cell. The distance to the lowest polymorph of the same formula is 0.000 eV per atom. As for the calculated formation energy: -504.2 kJ/mol of formula units. Its total DFT energy (no corrections) is -6.22 eV per atom.

a b c (Å): 4.8763 4.4762 8.2583
angles (deg): 90.00 103.17 90.00
Space group P2_1/m (No. 11)
One atom of each set of equivalent atoms:
Sc: 0.1763 0.2500 0.2721 x2
Al: 0.2376 0.2500 0.6337 x2
Al: 0.3555 0.7500 0.0218 x2
Pt: 0.1194 0.2500 0.9113 x2
Pt: 0.3071 0.7500 0.4762 x2

***

Record 6
# ScAl3Pt4

A relaxed ScAl3Pt4 crystal (PBE, Alexandria).

Computed properties:
- - -
[Back to the entry]

In typical Michael Mann style, the first episode of ‘Tokyo Vice’ unravels to end on a compelling note. The recreation of life in Japan in the ’90s checks all boxes of authenticity. Jake Adelsetien’s place in the scheme of things instantly arouses a tempting matchup with the realities of Tokyo unknown to him. “The Test” not only refers to the entrance exam he takes but also describes the reconciliation of his own moral compass and prevailing ethics of journalism in Japan. Along with the introduction to the characters and the storyline, there is also a strange nostalgic throwback to the days without computers and phones. This is evident from the emphasis on Jake’s handwriting practice and his voracious consumption of magazines and books. By exploring the story from his perspective, Mann tries to reminisce the days when journalism was an art; a game of skill and hard work. The hallmark of the profession was the lack of easy access to information. To get every last bit, a journalist had to move the world. It also entailed an occupational hazard that is mostly neutralized by today’s intrusive State control and digitization of services. ‘Tokyo Vice’ marries the noir genre with a slow-burn narrative about a foreigner in no man’s land.